-- Data --
........
Record 1
Density functional theory data (ωB97M-V/def2-TZVPD) for an isolated molecule of CH2FPSi at a distorted geometry.

Last column: natural (NBO) charge in e.
Positions of all 6 atoms, in Å:
F: -3.10 -1.54 0.14  -0.316
C: -2.27 -0.60 -0.19  -0.220
P: -2.46 1.37 0.03  0.078
Si: -0.59 0.09 0.03  0.753
H: -0.02 0.21 1.43  -0.150
H: 0.13 0.61 -1.06  -0.145

## Properties
LUMO level (spin up / spin down) (eV): -0.87 / -0.87
SMILES string: FC1=P[SiH2]1
HOMO-LUMO gap (spin up / spin down) (eV): 7.8 / 7.8
E (eV): -20949.2070
Largest force on an atom (eV/A): 5.9
E_HOMO (spin up / spin down) (eV): -8.6 / -8.6
Net charge: 0
Relative energy (zero: lowest compared OMol25 entry of this formula, charge and spin) (kcal/mol): 40.10

***

Record 2
Density functional theory data (ωB97M-V/def2-TZVPD) for a structure of composition CH2I2O at a distorted geometry.

Last column: natural (NBO) charge in e.
Positions of all 6 atoms, in Å:
C: 0.03 -0.07 -0.20  -0.088
O: 0.13 0.11 1.11  -0.709
I: 0.65 2.12 -0.95  -0.002
I: -1.93 -0.52 -0.87  0.118
H: 0.64 -0.93 -0.57  0.195
H: 0.48 -0.70 1.49  0.487

## Properties
LUMO level (eV): -0.82
HOMO-LUMO gap (eV): 8.5
E (eV): -19317.0270
Largest force on an atom (eV/A): 1.9
E_HOMO (eV): -9.3
Net charge: 0
Relative energy (zero: lowest compared OMol25 entry of this formula, charge and spin) (kcal/mol): 11.88

***

Record 3
Density functional theory data (ωB97M-V/def2-TZVPD) for an isolated molecule of CH2I2S at a distorted geometry.

Last column: natural (NBO) charge in e.
Positions of all 6 atoms, in Å:
C: 0.77 0.25 0.43  -0.674
S: 0.02 -0.97 -0.39  0.438
I: -2.65 -1.34 -0.06  -0.350
I: 1.56 2.15 -0.04  0.202
H: 0.81 0.16 1.45  0.212
H: -0.50 -0.25 -1.39  0.172

## Properties
LUMO level (spin up / spin down) (eV): -1.24 / -1.78
HOMO-LUMO gap (spin up / spin down) (eV): 7.1 / 6.5
E (eV): -28103.5862
Largest force on an atom (eV/A): 2.2
E_HOMO (spin up / spin down) (eV): -8.4 / -8.3
Net charge: 0
Relative energy (zero: lowest compared OMol25 entry of this formula, charge and spin) (kcal/mol): 43.32

***

Record 4
Density functional theory data (ωB97M-V/def2-TZVPD) for an isolated molecule of CH2IN3O2 at a distorted geometry.

Last column: natural (NBO) charge in e.
Positions of all 9 atoms, in Å:
N: 1.71 -0.54 0.03  -0.811
C: 1.03 0.54 -0.36  0.761
O: 1.44 1.56 -0.79  -0.533
N: -0.39 0.15 -0.35  -0.273
N: -1.21 0.67 0.35  0.383
O: -2.33 0.57 0.80  -0.279
I: -4.00 -1.03 0.24  -0.084
H: 1.13 -1.35 0.36  0.424
H: 2.62 -0.57 -0.29  0.414

## Properties
LUMO level (spin up / spin down) (eV): -1.46 / -1.71
SMILES string: NC(=O)/N=N/OI
HOMO-LUMO gap (spin up / spin down) (eV): 7.9 / 7.7
E (eV): -17731.5120
Largest force on an atom (eV/A): 3.1
E_HOMO (spin up / spin down) (eV): -9.4 / -9.4
Net charge: 0
Relative energy (zero: lowest compared OMol25 entry of this formula, charge and spin) (kcal/mol): 23.20

----------

1.
This record from the OMol25 dataset describes C23H21N3O3S in the gas phase in a non-equilibrium geometry. The level of theory is ωB97M-V/def2-TZVPD.

```
51
Properties=species:S:1:pos:R:3:forces:R:3:nbo_charge:R:1
H 2.675169 1.765152 -1.834019 0.009 0.058 -0.003 0.2653
C -1.314565 0.200983 2.633148 0.212 -0.012 0.153 -0.4260
H 0.132002 2.596672 -0.061674 0.029 -0.065 -0.050 0.2467
O 4.817114 1.403069 -0.186969 -0.001 -0.328 0.016 -0.5107
H 3.758185 -2.907665 -0.698933 0.023 -0.086 0.024 0.2160
C 0.033743 0.859535 2.910345 -0.227 0.197 0.063 -0.3914
C -0.839316 0.741683 0.225358 -0.198 -0.196 0.130 0.2812
H 4.669663 2.959394 -1.553688 -0.027 -0.005 0.035 0.1814
C -1.857849 -0.305447 -1.539724 -0.038 -0.034 0.168 0.1177
C -3.266681 -1.795937 1.573161 -0.230 0.509 0.948 0.2004
C -1.552762 -0.005348 1.165413 -0.165 -0.146 -0.066 -0.0774
O 0.772006 2.243105 -2.738717 0.198 0.232 0.001 -0.6226
N 1.030419 -0.028844 -2.878299 0.204 -0.427 -0.291 -0.6220
C -4.560961 -2.758556 3.111769 -0.008 -0.471 -0.328 -0.3192
N -1.013740 0.589006 -1.080407 -0.324 -0.010 0.027 -0.4789
........
-- Exercise --
Now quote the whole of the rows further up verbatim.
-- Written answer --
Record 1
Density functional theory data (ωB97M-V/def2-TZVPD) for an isolated molecule of CH2FPSi at a distorted geometry.

Last column: natural (NBO) charge in e.
Positions of all 6 atoms, in Å:
F: -3.10 -1.54 0.14  -0.316
C: -2.27 -0.60 -0.19  -0.220
P: -2.46 1.37 0.03  0.078
Si: -0.59 0.09 0.03  0.753
H: -0.02 0.21 1.43  -0.150
H: 0.13 0.61 -1.06  -0.145

## Properties
LUMO level (spin up / spin down) (eV): -0.87 / -0.87
SMILES string: FC1=P[SiH2]1
HOMO-LUMO gap (spin up / spin down) (eV): 7.8 / 7.8
E (eV): -20949.2070
Largest force on an atom (eV/A): 5.9
E_HOMO (spin up / spin down) (eV): -8.6 / -8.6
Net charge: 0
Relative energy (zero: lowest compared OMol25 entry of this formula, charge and spin) (kcal/mol): 40.10

***

Record 2
Density functional theory data (ωB97M-V/def2-TZVPD) for a structure of composition CH2I2O at a distorted geometry.

Last column: natural (NBO) charge in e.
Positions of all 6 atoms, in Å:
C: 0.03 -0.07 -0.20  -0.088
O: 0.13 0.11 1.11  -0.709
I: 0.65 2.12 -0.95  -0.002
I: -1.93 -0.52 -0.87  0.118
H: 0.64 -0.93 -0.57  0.195
H: 0.48 -0.70 1.49  0.487

## Properties
LUMO level (eV): -0.82
HOMO-LUMO gap (eV): 8.5
E (eV): -19317.0270
Largest force on an atom (eV/A): 1.9
E_HOMO (eV): -9.3
Net charge: 0
Relative energy (zero: lowest compared OMol25 entry of this formula, charge and spin) (kcal/mol): 11.88

***

Record 3
Density functional theory data (ωB97M-V/def2-TZVPD) for an isolated molecule of CH2I2S at a distorted geometry.

Last column: natural (NBO) charge in e.
Positions of all 6 atoms, in Å:
C: 0.77 0.25 0.43  -0.674
S: 0.02 -0.97 -0.39  0.438
I: -2.65 -1.34 -0.06  -0.350
I: 1.56 2.15 -0.04  0.202
H: 0.81 0.16 1.45  0.212
H: -0.50 -0.25 -1.39  0.172

## Properties
LUMO level (spin up / spin down) (eV): -1.24 / -1.78
HOMO-LUMO gap (spin up / spin down) (eV): 7.1 / 6.5
E (eV): -28103.5862
Largest force on an atom (eV/A): 2.2
E_HOMO (spin up / spin down) (eV): -8.4 / -8.3
Net charge: 0
Relative energy (zero: lowest compared OMol25 entry of this formula, charge and spin) (kcal/mol): 43.32

***

Record 4
Density functional theory data (ωB97M-V/def2-TZVPD) for an isolated molecule of CH2IN3O2 at a distorted geometry.

Last column: natural (NBO) charge in e.
Positions of all 9 atoms, in Å:
N: 1.71 -0.54 0.03  -0.811
C: 1.03 0.54 -0.36  0.761
O: 1.44 1.56 -0.79  -0.533
N: -0.39 0.15 -0.35  -0.273
N: -1.21 0.67 0.35  0.383
O: -2.33 0.57 0.80  -0.279
I: -4.00 -1.03 0.24  -0.084
H: 1.13 -1.35 0.36  0.424
H: 2.62 -0.57 -0.29  0.414

## Properties
LUMO level (spin up / spin down) (eV): -1.46 / -1.71
SMILES string: NC(=O)/N=N/OI
HOMO-LUMO gap (spin up / spin down) (eV): 7.9 / 7.7
E (eV): -17731.5120
Largest force on an atom (eV/A): 3.1
E_HOMO (spin up / spin down) (eV): -9.4 / -9.4
Net charge: 0
Relative energy (zero: lowest compared OMol25 entry of this formula, charge and spin) (kcal/mol): 23.20

----------

1.
This record from the OMol25 dataset describes C23H21N3O3S in the gas phase in a non-equilibrium geometry. The level of theory is ωB97M-V/def2-TZVPD.

```
51
Properties=species:S:1:pos:R:3:forces:R:3:nbo_charge:R:1
H 2.675169 1.765152 -1.834019 0.009 0.058 -0.003 0.2653
C -1.314565 0.200983 2.633148 0.212 -0.012 0.153 -0.4260
H 0.132002 2.596672 -0.061674 0.029 -0.065 -0.050 0.2467
O 4.817114 1.403069 -0.186969 -0.001 -0.328 0.016 -0.5107
H 3.758185 -2.907665 -0.698933 0.023 -0.086 0.024 0.2160
C 0.033743 0.859535 2.910345 -0.227 0.197 0.063 -0.3914
C -0.839316 0.741683 0.225358 -0.198 -0.196 0.130 0.2812
H 4.669663 2.959394 -1.553688 -0.027 -0.005 0.035 0.1814
C -1.857849 -0.305447 -1.539724 -0.038 -0.034 0.168 0.1177
C -3.266681 -1.795937 1.573161 -0.230 0.509 0.948 0.2004
C -1.552762 -0.005348 1.165413 -0.165 -0.146 -0.066 -0.0774
O 0.772006 2.243105 -2.738717 0.198 0.232 0.001 -0.6226
N 1.030419 -0.028844 -2.878299 0.204 -0.427 -0.291 -0.6220
C -4.560961 -2.758556 3.111769 -0.008 -0.471 -0.328 -0.3192
N -1.013740 0.589006 -1.080407 -0.324 -0.010 0.027 -0.4789